**Source**
<<<
Formula: C28H64FeN8O13S
Source: the Open Molecules 2025 dataset
Level of theory: the ωB97M-V functional and the def2-TZVPD basis

Structure (XYZ):
```
115
Properties=species:S:1:pos:R:3:mulliken_charge:R:1
Fe 7.06 -3.16 21.28 3.101
S 5.76 -0.98 21.01 0.311
O 4.36 -0.96 21.25 -0.671
O 6.42 -1.54 22.21 -1.120
O 6.31 -1.86 20.02 -0.636
O 6.00 0.45 20.89 -0.681
C 1.64 -0.57 19.50 0.009
O 2.41 0.27 19.94 -0.425
N 2.10 -1.36 18.47 0.246
C 1.33 -2.50 17.91 -0.792
C 3.41 -1.24 17.93 -0.792
H 0.64 -0.84 19.88 0.275
H 1.73 -3.49 18.15 0.123
H 1.33 -2.63 16.82 0.347
H 0.27 -2.53 18.15 0.327
H 3.36 -1.58 16.90 0.324
H 3.70 -0.20 17.80 0.359
H 4.13 -1.88 18.44 -0.033
C 8.23 -4.94 18.81 -0.391
O 7.65 -4.19 19.59 0.255
N 9.37 -5.59 19.09 0.365
C 9.91 -6.67 18.35 -1.081
C 10.07 -5.29 20.41 -0.726
H 7.98 -5.09 17.75 0.223
H 9.22 -6.92 17.54 0.372
H 10.11 -7.63 18.83 0.333
H 10.86 -6.51 17.83 0.341
H 11.11 -5.60 20.37 0.489
H 10.03 -4.23 20.69 0.033
H 9.60 -5.87 21.21 0.123
C 3.98 -4.30 20.87 -0.113
O 5.20 -4.26 21.16 -0.561
N 3.10 -5.13 21.44 0.493
C 1.59 -4.96 21.25 -0.873
C 3.46 -6.17 22.45 -0.834
H 3.55 -3.62 20.13 0.080
H 1.22 -4.50 20.34 0.156
H 1.29 -4.40 22.14 0.359
H 1.11 -5.93 21.20 0.328
H 3.03 -7.15 22.26 0.383
H 4.51 -6.44 22.37 -0.017
H 3.24 -5.88 23.48 0.355
C 5.78 0.78 24.37 0.258
O 4.92 0.91 23.47 -0.597
N 5.49 0.66 25.69 0.189
C 6.39 0.54 26.86 -0.959
C 3.99 0.68 26.02 -1.009
H 6.88 0.79 24.30 0.226
H 6.69 1.47 27.34 0.316
H 7.30 0.04 26.54 0.322
H 6.02 -0.15 27.62 0.313
H 3.31 0.75 25.18 0.282
H 3.74 -0.20 26.61 0.314
H 3.82 1.56 26.63 0.354
C 7.99 -5.17 23.64 -0.245
O 7.89 -4.56 22.60 -0.348
N 7.25 -4.93 24.71 0.253
C 7.71 -5.40 26.03 -1.054
C 6.13 -3.93 24.67 -1.005
H 8.78 -5.93 23.77 0.326
H 7.74 -4.55 26.71 0.339
H 8.73 -5.79 26.00 0.370
H 6.99 -6.09 26.46 0.333
H 6.44 -2.90 24.84 0.528
H 5.52 -4.00 23.78 -0.020
H 5.38 -4.29 25.38 0.430
C 5.26 2.95 18.50 -0.114
O 4.51 2.30 19.30 -0.402
N 6.30 2.37 17.76 0.350
C 7.01 3.07 16.71 -1.097
C 6.53 0.96 17.64 -0.044
H 5.07 4.03 18.35 0.336
H 7.38 2.37 15.96 0.362
H 7.85 3.59 17.17 0.282
H 6.33 3.74 16.17 0.385
H 5.91 0.57 18.45 -0.705
H 6.11 0.51 16.75 0.429
H 7.49 0.52 17.90 0.198
C 4.56 -5.81 17.18 0.358
O 4.67 -4.78 17.80 -0.476
N 4.26 -5.91 15.83 0.153
C 3.71 -4.82 15.02 -0.826
C 4.06 -7.17 15.25 -1.085
H 4.51 -6.83 17.61 0.045
H 3.78 -3.81 15.42 0.106
H 2.69 -4.99 14.66 0.363
H 4.23 -4.64 14.07 0.354
H 4.40 -7.39 14.24 0.346
H 4.45 -7.98 15.86 0.301
H 3.01 -7.48 15.18 0.410
C 9.44 -0.94 20.85 0.146
O 8.96 -2.05 21.12 -0.953
N 10.17 -0.72 19.75 0.403
C 11.02 0.47 19.61 -0.988
C 10.58 -1.66 18.71 -0.884
H 9.40 -0.09 21.55 0.213
H 10.70 1.19 20.37 0.335
H 10.83 0.99 18.67 0.307
H 12.06 0.14 19.65 0.323
H 10.24 -1.16 17.81 0.454
H 11.64 -1.89 18.73 0.355
H 10.00 -2.59 18.67 -0.015
C 6.28 -9.89 20.03 -0.708
C 7.46 -9.24 20.62 -0.500
C 7.06 -7.77 20.78 1.129
O 5.64 -7.75 20.50 -0.270
C 5.11 -9.06 20.61 -0.497
H 6.34 -10.92 20.38 0.376
H 6.32 -9.92 18.95 0.254
H 8.32 -9.37 19.97 0.274
H 7.69 -9.60 21.62 0.356
H 7.50 -7.23 19.94 -0.675
H 7.36 -7.30 21.71 -0.298
H 4.33 -9.01 19.85 0.260
H 4.66 -9.33 21.57 0.294
```

Output
- 2S+1: 5
- Kohn-Sham gap (spin up / spin down): 5.6 / 5.5 eV
- Energy relative to the best compared isomer or geometry (same formula, charge and spin): 40.9 kcal per mole
- Molecular weight: 808.8 g/mol
- <S²>: 6.007

Formula: C28H65BBrClN5O6P2S
Source: the Open Molecules 2025 dataset
Level of theory: the ωB97M-V functional and the def2-TZVPD basis

Structure (XYZ):
```
110
Properties=species:S:1:pos:R:3:mulliken_charge:R:1
C 2.30 -4.55 0.81 -0.767
O 1.78 -3.32 0.31 -0.567
B 0.58 -3.30 -0.32 0.940
O 0.48 -3.70 -1.61 -0.949
C -0.81 -2.78 0.38 -0.712
P -0.23 -1.97 1.99 0.398
S 0.95 -0.44 1.88 -0.299
N -1.53 -1.85 -0.53 1.001
C -0.93 -0.95 -1.54 -1.177
O 0.08 -0.20 -1.00 0.027
O -0.33 1.16 -1.07 -0.360
C -2.79 -2.00 -0.40 -0.239
Br -4.15 -1.13 -1.29 0.130
C -3.19 -3.05 0.57 -0.538
C -3.83 -2.50 1.86 -0.281
C -5.12 -3.24 2.08 0.295
O -5.22 -4.46 2.14 -0.457
>>>

**Wanted**
Find the line earlier on that holds "17.18 0.358", then retype that line and all lines after it there, please.

**Written answer**
C 4.56 -5.81 17.18 0.358
O 4.67 -4.78 17.80 -0.476
N 4.26 -5.91 15.83 0.153
C 3.71 -4.82 15.02 -0.826
C 4.06 -7.17 15.25 -1.085
H 4.51 -6.83 17.61 0.045
H 3.78 -3.81 15.42 0.106
H 2.69 -4.99 14.66 0.363
H 4.23 -4.64 14.07 0.354
H 4.40 -7.39 14.24 0.346
H 4.45 -7.98 15.86 0.301
H 3.01 -7.48 15.18 0.410
C 9.44 -0.94 20.85 0.146
O 8.96 -2.05 21.12 -0.953
N 10.17 -0.72 19.75 0.403
C 11.02 0.47 19.61 -0.988
C 10.58 -1.66 18.71 -0.884
H 9.40 -0.09 21.55 0.213
H 10.70 1.19 20.37 0.335
H 10.83 0.99 18.67 0.307
H 12.06 0.14 19.65 0.323
H 10.24 -1.16 17.81 0.454
H 11.64 -1.89 18.73 0.355
H 10.00 -2.59 18.67 -0.015
C 6.28 -9.89 20.03 -0.708
C 7.46 -9.24 20.62 -0.500
C 7.06 -7.77 20.78 1.129
O 5.64 -7.75 20.50 -0.270
C 5.11 -9.06 20.61 -0.497
H 6.34 -10.92 20.38 0.376
H 6.32 -9.92 18.95 0.254
H 8.32 -9.37 19.97 0.274
H 7.69 -9.60 21.62 0.356
H 7.50 -7.23 19.94 -0.675
H 7.36 -7.30 21.71 -0.298
H 4.33 -9.01 19.85 0.260
H 4.66 -9.33 21.57 0.294
```

Output
- 2S+1: 5
- Kohn-Sham gap (spin up / spin down): 5.6 / 5.5 eV
- Energy relative to the best compared isomer or geometry (same formula, charge and spin): 40.9 kcal per mole
- Molecular weight: 808.8 g/mol
- <S²>: 6.007

Formula: C28H65BBrClN5O6P2S
Source: the Open Molecules 2025 dataset
Level of theory: the ωB97M-V functional and the def2-TZVPD basis

Structure (XYZ):
```
110
Properties=species:S:1:pos:R:3:mulliken_charge:R:1
C 2.30 -4.55 0.81 -0.767
O 1.78 -3.32 0.31 -0.567
B 0.58 -3.30 -0.32 0.940
O 0.48 -3.70 -1.61 -0.949
C -0.81 -2.78 0.38 -0.712
P -0.23 -1.97 1.99 0.398
S 0.95 -0.44 1.88 -0.299
N -1.53 -1.85 -0.53 1.001
C -0.93 -0.95 -1.54 -1.177
O 0.08 -0.20 -1.00 0.027
O -0.33 1.16 -1.07 -0.360
C -2.79 -2.00 -0.40 -0.239
Br -4.15 -1.13 -1.29 0.130
C -3.19 -3.05 0.57 -0.538
C -3.83 -2.50 1.86 -0.281
C -5.12 -3.24 2.08 0.295
O -5.22 -4.46 2.14 -0.457